Hearts of Oak!
Thirteen classic yachts revel in winter racing on Port Phillip.

With 15 -20 knot conditions forecast for race two the fleet was full of great day for a race optimism. Make no mistake, with actual conditions of a sustained 23 knots southerly in 2.5 metre sea conditions, it was a close call on stopping the race. While 30+ knot gusts did come through, the cloud cover breaks indicated the hail laced front would soon pass. During these conditions, backing off from racing calls from some of our fleet were received and supported.
The basis of the course selection for the race was to minimise the length of courses legs where beating into the weather was required. Once the top mark was made it would be all down hill.
Division based pursuit racing was tops for race two.
Battles between boats of each division and between divisions in Sunday’s blustery conditions were a feature of race two. Eighteen corrected time seconds separated the first three placing spread over division one and three boats. The corrected time results across the remaining fleet were almost as close.
Links to the Race two results: click through for Fleet Overall results and Division based results.
At one stage the race tower though Akala was going to pass Kingurra when the narrow shouldered kite started to work. Not so, Kingurra went up higher to avoid the potential Akala wind shadow.
Sail of the day goes to Seabird.
While it could be said the surprise of the day was to see Martini so close to Akala at the finish line. It was the watching of Seabird leaving a track of foam in her wake as though she was in a straight line ploughing competition when she approached the finish line left the race tower based judges in no doubt. This scene was definitely the sail of the day.
Another candidate for sail of the day was Zephyr. Once she saw that finish line. Zephyr leaned over just that little bit more to give an impressive showing of Tumlaren power.
The around the course duel between the Tumlarens Dingo and Yvonne was a closely watched scene from the race tower.
Around the fleet another performance closely watched was that of both Marama’s and Pastime II.
It was all go on Marama. From her call to the race tower to inform Marama is go to hanging on to that clean hull Martini she consistently kept to her lay line to minimise her tacking work on the beat to weather legs.
Scene of the Port Phillip showdown
For Pastime II it was time to meet Port Phillip head on. Port Phillip, in all it’s strong wind and lumpy seas, and 30 square metres are like oil and water. They don’t mix. Race two was the scene of the showdown. With the crew who bring the champion yacht of Port Phillip, Ikon of Hobsons Bay Yacht Club, to her many race wins, Pastime II held off all that Port Phillip could throw at her.
Sadness of the day
What could have been is the word. Use of an unknown out of date course description had Mercedes III scratching her head as she watched the fleet presumably cutting corners. What could have been is the word. Mercedes III has accepted her lumps with a vow to show the fleet what she can really do.
• Misplaced crystal structures:
<<<
This record from the Alexandria database describes crystalline SrNi2Ir2O7 at its relaxed geometry. The functional is GGA+U.

## Properties
As for the total magnetic moment: 7.56 μB/cell. The value obtained for the total DFT energy (no corrections) is -6.001 eV per atom. The calculation puts the calculated volume at 11.7 A^3/atom.

Cell: 4.0153 17.2309 4.0467 Å, 90.00 90.00 90.00°
Space group Imm2 (No. 44)
Inequivalent atoms, fractional coordinates:
Sr: 0.0000 0.0000 0.0000 x2
Ni: 0.0000 0.2499 0.4627 x4
Ir: 0.0000 0.3874 0.9839 x4
O: 0.0000 0.1204 0.4613 x4
O: 0.0000 0.2679 0.9611 x4
O: 0.0000 0.3704 0.4779 x4
O: 0.0000 0.5000 0.1149 x2

~~~~~

A plane-wave DFT calculation with PBE was carried out for a geometry-optimized Cd2CoSb structure.

Calculated values
Crystal system = monoclinic
E = -2.921 eV/atom
Energy relative to the elements, uncorrected = 0.344 eV/atom
Volume = 81.9 Å³ per cell
DOS(E_F) = 4.06 states/eV per cell

Geometry as extended XYZ:
```
4
Lattice="3.1405 0.0000 0.0000 0.0000 5.5653 0.0000 -0.3371 0.0000 4.6836" Properties=species:S:1:pos:R:3 pbc="T T T"
Cd 0.6956 0.0000 1.1981
Cd 2.1079 0.0000 3.4855
Co 1.4017 2.7827 2.3418
Sb 0.0000 2.7827 0.0000
```

---

A plane-wave DFT calculation with PBE was carried out for a geometry-optimized Na4SrLa structure.

Calculated values
Crystal system = cubic
E = -1.820 eV/atom
Formation energy from the elements = 0.1609 eV/atom
Volume = 229.8 Å³ per cell
DOS(E_F) = 8.01 states/eV per cell

Geometry as extended XYZ:
```
6
Lattice="0.0000 4.8614 4.8614 4.8614 0.0000 4.8614 4.8614 4.8614 0.0000" Properties=species:S:1:pos:R:3 pbc="T T T"
Na 3.6539 3.6539 3.6539
Na 6.0689 6.0689 3.6539
Na 6.0689 3.6539 6.0689
Na 3.6539 6.0689 6.0689
Sr 0.0000 0.0000 0.0000
La 7.2921 7.2921 7.2921
```

---

A plane-wave DFT calculation with PBE was carried out for a geometry-optimized CdCoNi2P structure.

Calculated values
Crystal system = tetragonal
E = -3.940 eV/atom
Formation energy from the elements = 1.0584 eV/atom
Volume = 88.7 Å³ per cell
DOS(E_F) = 5.52 states/eV per cell

Geometry as extended XYZ:
```
5
Lattice="4.2963 0.0000 0.0000 0.0000 4.2963 0.0000 0.0000 0.0000 4.8071" Properties=species:S:1:pos:R:3 pbc="T T T"
Cd 0.0000 0.0000 0.0000
Co 0.0000 0.0000 2.4035
Ni 0.0000 2.1482 2.4035
Ni 2.1482 0.0000 2.4035
P 2.1482 2.1482 0.0000
```

---

A plane-wave DFT calculation with PBE was carried out for a geometry-optimized PrSm2In4 structure.

Calculated values
Crystal system = triclinic
E = -3.848 eV/atom
E above lowest polymorph = 50 meV per atom
Formation energy from the elements = -0.2524 eV/atom
Volume = 438.9 Å³ per cell
DOS(E_F) = 10.76 states/eV per cell

Geometry as extended XYZ:
```
14
Lattice="7.4376 0.0000 0.0000 1.5077 7.2962 0.0000 2.7686 2.2235 8.0883" Properties=species:S:1:pos:R:3 pbc="T T T"
Pr 0.0000 0.0000 0.0000
Pr 4.5214 6.4354 4.0797
Sm 2.2587 3.2203 2.0430
Sm 5.9775 3.2155 2.0424
Sm 7.3646 4.3303 6.0831
Sm 8.1131 7.9794 6.0822
In 5.4241 6.6117 7.0697
In 4.5166 3.1021 4.9621
>>>
• The crystal structures stop here:
Martini’s Race two story
Martini went back in the water on Friday after nearly three weeks of work on the hardstand. Doug did a fantastic job antifouling her after she had spent two years in the water as well as repainting her hull which was looking very tired as it was last painted 9 years ago.
We used Ferdi’s prize from the 2022 Cup Regatta to repair worrying stern leaks, replace a rotten plank and other works. He did a brilliant job. Both Doug and Ferdi are very professional and great to work with.
To the race, and course eight was the optimal course for Martini. We also picked the perfect sail combination and settings. The early lack of wind was tempting us to put up the large No1 headsail but as we were sailing two handed, we were played it safe and raised the No2.

The sail to B mark was where Martini excels, upwind sailing. Despite some very lumpy seas we sailed straight to B Mark and then tacked straight across to R3, again revelling in more upwind sailing. On rounding R3 we were right beside Akala who was just upwind of us. The wind increased and gusts caused us to round up several times. I warned Akala of our issue and she obliged by moving away from us. Thank you, Akala!
On the run to G mark Akala got just ahead and on the final leg to the finish she put up her spinnaker, which was very impressive.
Kingurra also passed us on this leg and powered off to get line honours.
A very enjoyable day although we would have liked it a few degrees warmer, less heavy rain showers and we really didn’t enjoy that hail at B mark.
Her clean bum allows us to sail up to 5-10 degrees closer to the wind, so it certainly helps. Given the high winds a clean bum would have minimal affect on speed as we were running our usual maximum speed for these conditions. We peaked at 9.3 kts around R3 and hence began to round up as this is way past her max theoretical hull speed of 6.5 knots (1.4 * sqr root of her waterline length).
I would have loved to have had her race in Race 1 as its in light wind conditions that a clean bum has a big impact.
You might have observed that our sail settings were perfect for the conditions.
How about all that from Ross Clark.
Now to the Kingurra Race two story.
We saw gusts up to 34kn apparent heading to R3. We also managed to break the leach line on the No 3, which is why one of the crew members was up by the shrouds trying to tie in (as best we could) some tension on the leach line after the cleat (on the sail leech) broke.
# Misplaced data records
'''
LaPrSm2Er: relaxed, GGA-PBE.

Values from the calculation:
- Symmetry: P2/c (13)
- Calculated total energy: -4.48 eV/atom
- Energy of formation from the pure elements: 0.261 eV/atom

a b c (Å): 6.484 9.131 6.462
angles (deg): 109.56 90.00 90.00
Sites, in units of the cell vectors:
La 0.000 0.000 0.000
La 0.000 0.000 0.500
Pr 0.162 0.500 0.750
Pr 0.838 0.500 0.250
Sm 0.674 0.684 0.840
Sm 0.674 0.316 0.660
Sm 0.326 0.684 0.340
Sm 0.326 0.316 0.160
Er 0.506 0.000 0.250
Er 0.494 0.000 0.750
'''
Kingurra crewman sorting out the No 3 headsail leech line problem…
Next Race 28 May
These calculated crystals were left in the text by mistake:
********
(1)
This record from the Alexandria database describes a geometry-optimized NdSi2Ag structure. The functional is GGA-PBE.

Output
Calculated volume   158 Å³/cell
ΔE_f (raw)   -2.03 eV/f.u.
Total magnetic moment   0.0 μB per formula unit

Cell and atoms, written as extended XYZ:
```
8
Lattice="4.245 0.000 0.000 0.000 4.225 0.000 0.000 -2.113 8.826" Properties=species:S:1:pos:R:3 pbc="T T T"
Si 1.061 0.002 0.567
Si 3.184 2.111 8.259
Si 1.061 0.001 2.891
Si 3.184 2.112 5.935
Nd 1.061 0.000 7.125
Nd 3.184 2.112 1.701
Ag 1.061 2.113 4.386
Ag 3.184 -0.001 4.440
```

(2)
This record from the Alexandria database describes a geometry-optimized CaZn2Hg2 structure. The functional is GGA-PBE.

Output
ΔE to the lowest computed polymorph   0.011 eV/atom
Calculated volume   229 Å³/cell
ΔE_f   -0.21 eV/atom
Total magnetic moment   0.0 μB per formula unit

Cell and atoms, written as extended XYZ:
```
10
Lattice="6.014 -0.001 0.017 2.985 5.599 -0.307 3.036 -0.387 6.823" Properties=species:S:1:pos:R:3 pbc="T T T"
Ca 8.393 4.087 1.496
Ca 3.642 1.124 5.038
Zn 5.381 3.741 0.228
Zn 6.646 0.768 3.786
Zn 6.654 1.470 6.306
Zn 5.389 4.443 2.748
Hg 4.726 1.693 2.087
Hg 10.320 4.338 5.382
Hg 1.715 0.873 1.151
Hg 7.308 3.518 4.446
```

(3)
This record from the Alexandria database describes a geometry-optimized Ce2Al4Cu3Pt structure. The functional is GGA-PBE.

Output
Calculated volume   182 Å³/cell
ΔE_f   -0.53 eV/atom
Total magnetic moment   1.2 μB per formula unit

Cell and atoms, written as extended XYZ:
```
10
Lattice="-2.516 3.356 -0.633 -2.808 -1.585 2.757 4.643 4.904 7.548" Properties=species:S:1:pos:R:3 pbc="T T T"
Ce -0.084 2.918 1.591
Ce 2.065 2.872 7.018
Al -2.662 0.886 1.062
Al 0.000 0.000 0.000
Al 1.672 4.773 4.447
Al 0.309 1.017 4.163
Cu 2.321 2.452 3.774
Cu 2.784 5.948 6.255
Cu -0.803 -0.158 2.355
Pt -0.341 3.338 4.836
```

(4)
This record from the Alexandria database describes a geometry-optimized TbErSiSe structure. The functional is GGA-PBE.

Output
Calculated volume   98 Å³/cell
ΔE_f (raw)   -5.17 eV/f.u.
Total magnetic moment   0.0 μB per formula unit

Cell and atoms, written as extended XYZ:
```
4
Lattice="-2.134 -0.788 3.402 1.954 -0.643 3.538 -0.341 6.159 3.675" Properties=species:S:1:pos:R:3 pbc="T T T"
Tb -0.303 3.382 5.516
Er -0.231 -0.227 7.187
Si -0.176 2.273 2.877
Se -0.439 4.684 8.194
```

(5)
This record from the Alexandria database describes a geometry-optimized TiRe3Ge structure. The functional is GGA-PBE.

Output
ΔE to the lowest computed polymorph   0.578 eV/atom
Calculated volume   97 Å³/cell
ΔE_f   2.00 eV/atom
Total magnetic moment   2.4 μB per formula unit

Cell and atoms, written as extended XYZ:
```
5
Lattice="4.600 0.000 0.000 0.000 4.600 0.000 0.000 0.000 4.600" Properties=species:S:1:pos:R:3 pbc="T T T"
Re 0.000 2.300 0.000
Re 0.000 0.000 2.300
Re 2.300 0.000 0.000
Ge 2.300 2.300 2.300
Ti 0.000 0.000 0.000
```

(6)
This record from the Alexandria database describes a geometry-optimized Tb4GeI5 structure. The functional is GGA-PBE.
********
A three week gap as we moved the May 15 race forward a week to cover the no racing on Mother’s Day.
RMYS Presentation night 13th May
The CYAA will be there in force to collect the Tumlaren and 2022/2023 Summer Series trophies.
That’s all for race two now for race three!
Regards to all…
Peter Costolloe
CYAA (Vic) Handicapper
Banner: Marama and Seabird as seen from Kingurra on the run to mark G.